With Christmas in the rear-view mirror and the beginning of 2017 just days away, it’s time to think ahead and make plans for the coming year! This is the season when people like to make New Year’s resolutions, and while I’ve never been one to make a formal list, I do have a handful of plans for 2017 that I thought I would put down on (virtual) paper. Perhaps they’ll give you a few ideas for your own New Year’s resolutions!
1. Plant More Trees
(Between two parts of the entry: materials data)
- - -
DFT (PBE) results for ScU4As5 after structural relaxation.

## Properties
**Space group**: Immm
**DFT total energy**: -8.314 eV per atom
**Energy relative to the elements**: -0.8406 eV per atom
**DOS at the Fermi energy**: 23.787 states/eV/cell
**Total magnetization**: 9.8 μB/f.u.

Unit cell a=10.8246 b=10.8246 c=10.8246 alpha=158.70 beta=149.33 gamma=37.65
Closest atoms and distances in Å follow each position.
Atoms (fractional coordinates):
Sc1 0.0000 0.0000 0.0000  6 As 2.79-2.86
U1 0.1975 0.1975 0.0000  6 As 2.86-2.90
U2 0.4005 0.4005 0.0000  6 As 2.86-2.88
U3 0.5995 0.5995 0.0000  6 As 2.86-2.88
U4 0.8025 0.8025 0.0000  6 As 2.86-2.90
As1 0.0947 0.5947 0.5000  2 Sc 2.79, 4 U 2.86-2.90
As2 0.2992 0.7992 0.5000  6 U 2.86-2.89
As3 0.5000 0.0000 0.5000  4 U 2.86, 2 Sc 2.86
As4 0.7008 0.2008 0.5000  6 U 2.86-2.89
As5 0.9053 0.4053 0.5000  2 Sc 2.79, 4 U 2.86-2.90

=====

A plane-wave DFT calculation with GGA+U was carried out for a geometry-optimized Tl3V5O14 structure.

Cell: 8.823 8.823 5.453 Å, 90.00 90.00 120.00°
Fractional positions:
O: 0.000 0.242 0.992
O: 0.293 0.831 0.406
O: 0.539 0.707 0.406
O: 0.169 0.169 0.362
O: 0.667 0.333 0.987
O: 0.169 0.461 0.406
O: 0.831 0.000 0.362
O: 0.758 0.758 0.992
O: 0.461 0.169 0.406
O: 0.000 0.831 0.362
O: 0.242 0.000 0.992
O: 0.333 0.667 0.987
O: 0.831 0.293 0.406
O: 0.707 0.539 0.406
Tl: 0.000 0.613 0.756
Tl: 0.387 0.387 0.756
Tl: 0.613 0.000 0.756
V: 0.333 0.667 0.293
V: 0.000 0.227 0.291
V: 0.773 0.773 0.291
V: 0.227 0.000 0.291
V: 0.667 0.333 0.293

Total DFT energy (no corrections) = -150.84 eV for the cell shown
Crystal system = trigonal
Space-group type = P31m

A plane-wave DFT calculation with GGA+U was carried out for a geometry-optimized TlVO2 structure.

Cell: 7.287 7.287 7.287 Å, 29.60 29.60 29.60°
Fractional positions:
O: 0.915 0.915 0.915
O: 0.085 0.085 0.085
V: 0.000 0.000 0.000
Tl: 0.500 0.500 0.500

Crystal system = trigonal
Energy above the lowest structure with this stoichiometry = 788 meV per atom
Space-group type = R-3m

A plane-wave DFT calculation with GGA+U was carried out for a geometry-optimized TlV4O8 structure.

Cell: 3.081 7.320 7.247 Å, 86.82 77.73 77.85°
Fractional positions:
O: 0.551 0.635 0.262
O: 0.218 0.642 0.921
O: 0.179 0.037 0.605
O: 0.852 0.700 0.596
O: 0.178 0.309 0.334
O: 0.809 0.368 0.014
O: 0.864 0.948 0.325
O: 0.474 0.374 0.678
V: 0.360 0.822 0.458
V: 0.175 0.497 0.153
V: 0.855 0.508 0.783
V: 0.671 0.186 0.473
Tl: 0.519 0.996 0.967

Total DFT energy (no corrections) = -96.47 eV for the cell shown
Crystal system = monoclinic
Space-group type = Cm

A plane-wave DFT calculation with GGA+U was carried out for a geometry-optimized TlVO structure.

Cell: 6.213 4.891 10.691 Å, 79.36 73.11 50.57°
Fractional positions:
Tl: 0.176 0.500 0.648
Tl: 0.324 0.500 0.352
Tl: 0.574 0.000 0.852
Tl: 0.426 0.000 0.148
V: 0.066 0.000 0.868
V: 0.934 0.000 0.132
V: 0.816 0.500 0.368
V: 0.684 0.500 0.632
O: 0.828 0.345 0.000
O: 0.172 0.655 0.000
O: 0.922 0.155 0.500
- - -
I’m a serious tree fan and enjoy identifying unfamiliar varieties and debating whether I’m looking at a Sugar Maple, a Black Maple or some sort of hybrid cross-bred that defies classification. In recent years, I’ve transplanted a few Basswood trees that have taken reasonably well, and I’m planning to do more in 2017—I might even purchase a few from nurseries and bring in specific varieties that interest me, such as Chinese Chestnut or Bur Oak.
2. Learn To Graft Fruit Trees
In keeping with the theme of Resolution No. 1, I’m hoping to improve my tree-grafting abilities in 2017 from virtually non-existent to somewhat capable. The handful of attempts I’ve made have not fared particularly well (truth be told, they all died), but the idea of cultivating specific fruit tree varieties and preserving the genetics of old apple trees is appealing. Thus, mastering the art of grafting is high on my list.
• Unrelated to this article: calculated crystals:
____________
1.
First-principles (PBE) data for crystalline LaRe3As at its relaxed geometry, as listed in Alexandria via LeMat-Bulk.

Computed properties:
As for the energy above the most stable polymorph in this dataset: 2087 meV per atom. The density of states at the Fermi level comes out at 1.59 states/eV per atom. Its formation energy is 3.099 eV per atom. As for the volume: 113 Å³ per cell.

a = 4.836 Å, b = 4.836 Å, c = 4.836 Å
α = 90.00°, β = 90.00°, γ = 90.00°
Space group Pm-3m (No. 221)
Unique sites:
La 0.000 0.000 0.000 (multiplicity 1)
Re 0.000 0.000 0.500 (multiplicity 3)
As 0.500 0.500 0.500 (multiplicity 1)

2.
First-principles (PBE) data for crystalline La2ReAs at its relaxed geometry, as listed in Alexandria via LeMat-Bulk.

Computed properties:
The density of states at the Fermi level comes out at 0.29 states/eV per atom. Its formation energy is 0.083 eV per atom. As for the volume: 405 Å³ per cell.

a = 8.086 Å, b = 8.086 Å, c = 6.190 Å
α = 90.00°, β = 90.00°, γ = 90.00°
Space group I-42d (No. 122)
Unique sites:
La 0.207 0.250 0.125 (multiplicity 8)
Re 0.000 0.000 0.000 (multiplicity 4)
As 0.000 0.000 0.500 (multiplicity 4)

no.,raw total energy (eV/atom)
1,-6.29
2,-6.66


1.
Ca2AcIn6 | PBE | relaxed

abc: 8.8615 8.8615 3.8045
angles: 90.00 90.00 120.00
Space group P6/mmm (No. 191)
Unique sites:
1 Ca 0.3333 0.6667 0.0000 [2 per cell]
2 Ac 0.0000 0.0000 0.0000 [1 per cell]
3 In 0.0000 0.3370 0.5000 [6 per cell]

## Properties
Formation energy from the elements ... -0.3871 eV per atom

2.
TaIn2Sb | PBE | relaxed

abc: 3.1953 3.1953 33.5708
angles: 90.00 90.00 120.00
Space group R3m (No. 160, hexagonal axes)
Unique sites:
1 Ta 0.0000 0.0000 0.0000 [3 per cell]
2 In 0.0000 0.0000 0.4882 [3 per cell]
3 In 0.0000 0.0000 0.7390 [3 per cell]
4 Sb 0.0000 0.0000 0.2651 [3 per cell]

## Properties
Formation energy without anion corrections ... 0.16 eV per atom

3.
CePm5Tm4 | PBE | relaxed

abc: 17.806 3.489 10.931
angles: 90.00 106.62 90.00
Space group C2/m (No. 12)
Unique sites:
1 Ce 0.000 0.000 0.000 [2 per cell]
2 Pm 0.000 0.000 0.500 [2 per cell]
3 Pm 0.104 0.500 0.282 [4 per cell]
4 Pm 0.205 0.500 0.602 [4 per cell]
5 Tm 0.094 0.500 0.814 [4 per cell]
6 Tm 0.196 0.000 0.080 [4 per cell]

## Properties
Formation energy from the elements ... 0.1070 eV per atom

4.
AcPmNd2 | PBE | relaxed

abc: 4.362 4.362 7.812
angles: 90.00 90.00 90.00
Space group P4/mmm (No. 123)
Unique sites:
1 Ac 0.000 0.000 0.000 [1 per cell]
2 Pm 0.000 0.000 0.500 [1 per cell]
3 Nd 0.500 0.500 0.273 [2 per cell]

## Properties
Formation energy from the elements ... 0.1089 eV per atom

5.
Li4ZrMn | PBE | relaxed

abc: 7.349 7.349 7.349
angles: 90.00 90.00 90.00
Space group F-43m (No. 216)
Unique sites:
1 Li 0.124 0.124 0.124 [16 per cell]
2 Zr 0.000 0.000 0.500 [4 per cell]
3 Mn 0.250 0.250 0.750 [4 per cell]

## Properties
Formation energy from the elements ... 0.3376 eV per atom

6.
KLa4Tc | PBE | relaxed

abc: 9.392 9.392 9.392
angles: 90.00 90.00 90.00
____________
3. Build A Rock Wall
I have a fondness for rock walls and have been meaning to build one—at least a short one!—for many years, if only for aesthetic purposes. I certainly have an ample supply of rocks to choose from (there are large rock piles on the edges of all the original farm fields), and I’ve read about the techniques of building various rock wall types. Now, I just need to get started!
4. Invest In Hand Tools
You’ve probably figured out by now that I’m fond of hand tools, and while I like to make do with the ones I have, I might invest in some new ones for 2017. One tool that I believe could be particularly useful to me is a mattock, a type of double-sided axe used for digging and cutting through roots. It would come in handy for removing small tree stumps from the ground.
5. Create Innovative Pasture Gates
Frost can be troublesome where I live, particularly in areas that receive a lot of traffic during the winter, such as pasture gates. The frost is fond of heaving gateposts out of place, leading to frequent repairs and post replacements, but I have a handful of ideas for creating more innovative and frost-resistant gate designs in 2017. Perhaps one of them can eliminate the frost issues!
Do you have any New Year’s resolutions for 2017? Let us know what they are!